Saturday, February 06, 2010

Wouldn't it be nice to have a peaceful little farm in the wilds of Portugal?

If this thought ever crosses your mind just you go and have a few stiff drinks and then sit in a nice warm bath or something until the thought uncrosses your mind...

...this must be just one of the most beautiful, peaceful places to be anywhere - but getting set up out here is not for the faint-hearted. The tangled bureaucracy is infuriating even if, like Janet and Clive, you speak Portuguese fluently. Clive has written much in his own blogging about the ups and downs of having anything built out here - click here for Clive's Quinta Blog. Then there are many other little flies in the ointment like the "hunters" who have the right to roam freely through the area firing off their blunderbusses at wildlife however small, right down to thrushes. (Clive and I reckon it would be a much better sport if the birds had guns too). It's not a good idea to confront these guys though as the Rambo-clad warriors may also be the local police or other worthies... is bloomin gorgeous out here though all the same! Janet and Clive 35 acres here and are still exploring their land after three years, finding olive and other trees that they didn't even know were there. There's a huge variety of growing areas, parts are strewn with giant boulders, there are thousands of trees and a family of wild boar haunt the upper areas. Their hard work and persistence is paying off already though and the vineyards and olivals are beginning to look really good.

A bit more about the Portuguese outback...

We are in the Beira Interior Sul region of Portugal not far from the Spanish border and its verry verrrry quiet. You can carry on a conversation quite easily with someone a hundred yards away and hear the neighbouring farmer's wife shouting at her flock of goats and sheep very clearly.
Sadly you don't see many children in the village, the younger families have gone to the cities like Lisbon or have gone to work in France.

Here's a couple of shots from a walk I took up in the hills behind Janet and Clive's quinta, lots of rocks, boulders and scrubby vegetation with a random olival scattered here and there.

I love the way we humans have made very little impact on the landscape around here - in the picture above you can just see the nearest village tucked away to the right. None of the houses are over two floors high and rather than gardens they tend to have little micro-holdings of olives, vines and vegetables.
Here's my walking chum Harry coming down the road at top speed...

...and here's Clive after a haircut in Fundao at a barbers shop straight out of the Fifties - good haircut though!

Thursday, February 04, 2010

NEW GROWTH - sustainable framework in sight

I've also had time while pruning all these olive trees to think about my own short term future. My immediate plans when I get back to the UK are to work in Wales for a while at Lammas and also in the area around the project. Lammas is a brilliant project, see the posts below, I'm sure it will prove to be a turning point and help many other similar projects to get going. One of my dreams is to be part of something like Lammas in Scotland which my daughters, Amanda and Laura and their children can get involved with as well if it's appropriate for them.

As well as doing my therapy work, I would love to help to start up a tree nursery, an orchard renovation service, a residential treatment/retreat centre, help to develop courses in sustainable topics and carry on with low impact building work. It's mostly stuff I've done before but at last this is an opportunity to do it all within the framework of a developing sustainable community.

More and more people are getting seriously concerned about the future. One of my patients told me about a book he was reading set in Tokyo just after the Second World War and the grim time that people had trying to find food. They used to travel out by train to the surrounding countryside to try to buy food, barter for it or steal it from farmers. I wonder if that's a pre-shadow of what life could be like in the UK for city dwellers one day not too far away? What food would we be able to get at a UK agri-business farm anyway?

Life after Debi

It's been a big change splitting up with Debi, my soulmate of six years. This time out here in the Portuguese wilds has let me mull everything over.

I always found living on the South Coast with Debi and her three boys difficult - all the traffic and stress, a life revolving around cars and supermarkets, an underlying feeling that we humans had squeezed every last drop of profit and life out of the land around us and my instincts saying louder and louder that the big crash is not far away. So it's a relief to be away from all that. In the end its mainly been the different ways of living we are looking for that has brought us to our fork in the road - I feel there's no time to lose in becoming part of a sustainable future whereas Debi and the kids prefer to carry on with what they know.

## Unrelated to this entry: records of crystals
........
Record 1
The following is a PBE with a Hubbard U calculation of crystalline MgMnAsO5 at its relaxed geometry, from the Materials Project.

Properties
SG: P2_12_12_1
DFT formation energy: -2136 meV/atom

Lattice parameters (Å, degrees): 6.0669 8.0439 8.6178 90.00 90.00 90.00
Fractional positions:
Mg  0.0981  0.1587  0.3166
Mg  0.4019  0.8413  0.8166
Mg  0.5981  0.3413  0.6834
Mg  0.9019  0.6587  0.1834
Mn  0.2404  0.7515  0.4964
Mn  0.2596  0.2485  0.9964
Mn  0.7404  0.7485  0.5036
Mn  0.7596  0.2515  0.0036
As  0.0259  0.0982  0.6735
As  0.4741  0.9018  0.1735
As  0.5259  0.4018  0.3265
As  0.9741  0.5982  0.8265
O  0.0073  0.1464  0.0933
O  0.0146  0.4092  0.9209
O  0.0910  0.2389  0.5348
O  0.2139  0.6499  0.7300
O  0.2403  0.0705  0.8046
O  0.2597  0.9295  0.3046
O  0.2861  0.3501  0.2300
O  0.4090  0.7611  0.0348
O  0.4854  0.5908  0.4209
O  0.4927  0.8536  0.5933
O  0.5073  0.3536  0.9067
O  0.5146  0.0908  0.0791
O  0.5910  0.2611  0.4652
O  0.7139  0.8501  0.2700
O  0.7403  0.4295  0.1954
O  0.7597  0.5705  0.6954
O  0.7861  0.1499  0.7700
O  0.9090  0.7389  0.9652
O  0.9854  0.9092  0.5791
O  0.9927  0.6464  0.4067


Record 2
The following is a PBE with a Hubbard U calculation of crystalline MgMoAsO5 at its relaxed geometry, from the Materials Project.

Properties
SG: P2_12_12_1
DFT formation energy: -2051 meV/atom

Lattice parameters (Å, degrees): 6.6258 8.1334 8.6567 90.00 90.00 90.00
Fractional positions:
Mg  0.1290  0.1626  0.3232
Mg  0.3710  0.8374  0.8232
Mg  0.6290  0.3374  0.6768
Mg  0.8710  0.6626  0.1768
Mo  0.2347  0.7523  0.4955
Mo  0.2653  0.2477  0.9955
Mo  0.7347  0.7477  0.5045
Mo  0.7653  0.2523  0.0045
As  0.0264  0.0920  0.6760
As  0.4736  0.9080  0.1761
As  0.5264  0.4080  0.3240
As  0.9736  0.5920  0.8240
O  0.0133  0.1534  0.1190
O  0.0139  0.4070  0.9215
O  0.0933  0.2288  0.5384
O  0.1939  0.6497  0.7339
O  0.2116  0.0596  0.8138
O  0.2884  0.9404  0.3138
O  0.3061  0.3503  0.2339
O  0.4067  0.7712  0.0384
O  0.4861  0.5930  0.4215
O  0.4867  0.8466  0.6190
O  0.5133  0.3466  0.8810
O  0.5139  0.0930  0.0785
O  0.5933  0.2712  0.4616
O  0.6939  0.8503  0.2661
O  0.7116  0.4404  0.1862
O  0.7884  0.5596  0.6862
O  0.8061  0.1497  0.7661
O  0.9067  0.7288  0.9616
O  0.9861  0.9070  0.5785
O  0.9867  0.6534  0.3810

----------

DFT (PBE with a Hubbard U) results for a geometry-optimized SrNdHfMnO6 structure.

Cell: 5.7094 5.7094 5.7094 Å, 60.00 60.00 60.00°
With the nearest neighbours (Å) after each atom.
Positions (direct):
1 Sr 0.0000 0.0000 0.0000  12 O 2.85
2 Nd 0.5000 0.5000 0.5000  12 O 2.85
3 Hf 0.7500 0.7500 0.7500  6 O 2.04
4 Mn 0.2500 0.2500 0.2500  6 O 2.00
5 O 0.0027 0.0027 0.4973  1 Mn 2.00, 1 Hf 2.04
6 O 0.0027 0.4973 0.0027  1 Mn 2.00, 1 Hf 2.04
7 O 0.0027 0.4973 0.4973  1 Mn 2.00, 1 Hf 2.04
8 O 0.4973 0.0027 0.0027  1 Mn 2.00, 1 Hf 2.04
9 O 0.4973 0.0027 0.4973  1 Mn 2.00, 1 Hf 2.04
10 O 0.4973 0.4973 0.0027  1 Mn 2.00, 1 Hf 2.04

---
........

The picture above is one of Debi from my photo website: Earth Energy Images - she was very photogenic, always looked different, often totally gorgeous. These photos will always remind me of all the wonderful times we had together.

Anytime I feel that life is hard or lonely now I just think of all the extraordinary people I have met recently, and of the old friends I have re-met and I feel better straight away - there's a worldwide evolutionary hyper-family in the making...